الغاء مسيرة لنساء عاريات باستراليا ( The great Australian bikini march)

الغاء مسيرة لنساء عاريات باستراليا ( The great Australian bikini march)

01-26-2007, 11:01 AM

  » http://sudaneseonline.com/cgi-bin/sdb/2bb.cgi?seq=msg&board=3&msg=1169805699&rn=0

Post: #1
Title: الغاء مسيرة لنساء عاريات باستراليا ( The great Australian bikini march)
Author: ابراهيم برسي
Date: 01-26-2007, 11:01 AM

Breaking News - Bikini March Becomes Bikini Atoll

(5 December 2006)

Organisers of The Great Australian Bikini March have been forced to cancel the event due to irresponsible journalism.

During the month of the campaign, most media were respectful, reported the facts, focused on the issue and agreed that publishing personal details about organisers was unnecessary.

However, during the last few days there have been an increasing smear campaign in an attempt to sensationalise or discredit us. Despite to all out efforts to refer misinformed journalists and 'independent' media to the facts via our website they continued to knowingly misrepresent the intention and details of the march. Some stated they wanted us to stop the march.

What comes next are records of crystals, not part of the text
/*
No. 1
Starting from a cell relaxed with GGA-PBE, the X-ray powder pattern of Dy2PbAu was computed for Cu Kα (λ = 1.5418 Å).

Structure:
```
4
Lattice="3.3059 0.0000 0.0000 0.0000 2.9705 6.2444 0.0000 -2.9705 6.2444" Properties=species:S:1:pos:R:3 pbc="T T T"
Dy 0.0000 0.0000 0.0000
Dy 0.0000 0.0000 3.5460
Pb 0.0000 0.0000 6.8504
Au 0.0000 0.0000 9.6881
```

Main lines, by angle (2θ from 5° to 70°):
| 2θ/deg | d [Å] | Rel. int. |
| --- | --- | --- |
| 26.97 | 3.306 | 100 |
| 28.59 | 3.122 | 71 |
| 30.08 | 2.971 | 76 |
| 39.71 | 2.270 | 60 |
| 40.84 | 2.210 | 67 |
| 50.61 | 1.804 | 60 |

***

No. 2
Starting from a cell relaxed with GGA-PBE, the X-ray powder pattern of ThZn4Pb2 was computed for Cu Kα (λ = 1.5418 Å).

Structure:
```
7
Lattice="3.5697 -5.5469 0.0000 3.5697 5.5469 0.0000 -0.0083 0.0000 4.0386" Properties=species:S:1:pos:R:3 pbc="T T T"
Th 0.0000 0.0000 0.0000
Zn 2.2920 0.0000 2.0194
Zn 3.5697 1.3007 0.0000
Zn 3.5697 -1.3007 0.0000
Zn 4.8391 0.0000 2.0192
Pb 1.7807 2.7734 2.0193
Pb 1.7807 -2.7734 2.0193
```

Main lines, by angle (2θ from 5° to 70°):
| 2θ/deg | d [Å] | Rel. int. |
| --- | --- | --- |
| 27.32 | 3.265 | 56 |
| 29.76 | 3.002 | 56 |
| 32.28 | 2.773 | 30 |
| 33.50 | 2.675 | 100 |
| 35.23 | 2.548 | 32 |
| 47.21 | 1.925 | 36 |

***

No. 3
Starting from a cell relaxed with GGA-PBE, the X-ray powder pattern of Ta12Co17 was computed for Cu Kα (λ = 1.5418 Å).

Structure:
```
29
Lattice="-4.6194 4.6194 4.6194 4.6194 -4.6194 4.6194 4.6194 4.6194 -4.6194" Properties=species:S:1:pos:R:3 pbc="T T T"
Ta 5.3071 1.3282 -1.3282
Ta 5.3071 -1.3282 1.3282
Ta 3.2912 3.2912 -0.6877
Ta 3.2912 -0.6877 3.2912
Ta 3.9317 1.3282 1.3282
Ta 1.3282 5.3071 -1.3282
Ta 1.3282 -1.3282 5.3071
Ta 1.3282 3.9317 1.3282
Ta 1.3282 1.3282 3.9317
Ta -0.6877 3.2912 3.2912
Ta -1.3282 5.3071 1.3282
Ta -1.3282 1.3282 5.3071
Co 0.0000 0.0000 0.0000
Co 3.2591 3.2591 -3.2591
Co 2.5674 0.8321 -0.8321
Co 2.5674 -0.8321 0.8321
Co 3.2591 -3.2591 3.2591
Co 6.6714 0.8321 0.8321
Co 0.8321 2.5674 -0.8321
Co 0.8321 -0.8321 2.5674
Co 1.3603 1.3603 1.3603
Co -0.8321 2.5674 0.8321
Co -0.8321 0.8321 2.5674
Co 3.7873 3.7873 2.0520
Co 3.7873 2.0520 3.7873
Co -3.2591 3.2591 3.2591
Co 0.8321 6.6714 0.8321
Co 0.8321 0.8321 6.6714
Co 2.0520 3.7873 3.7873
```

Main lines, by angle (2θ from 5° to 70°):
| 2θ/deg | d [Å] | Rel. int. |
| --- | --- | --- |
| 33.60 | 2.667 | 39 |
| 36.39 | 2.469 | 35 |
| 39.00 | 2.310 | 43 |
| 41.47 | 2.178 | 100 |
| 46.08 | 1.970 | 35 |
| 50.36 | 1.812 | 34 |

***

No. 4
Starting from a cell relaxed with GGA-PBE, the X-ray powder pattern of KZr3Se5 was computed for Cu Kα (λ = 1.5418 Å).

Structure:
```
9
Lattice="6.2177 0.0000 0.0000 -3.1089 5.3847 0.0000 0.0000 0.0000 7.6903" Properties=species:S:1:pos:R:3 pbc="T T T"
K 0.0000 0.0000 0.0000
Zr -1.5544 2.6923 3.8451
Zr 3.1089 0.0000 3.8451
Zr 1.5544 2.6923 3.8451
Se 0.0000 0.0000 3.8451
Se 0.0000 3.5898 1.8259
Se 0.0000 3.5898 5.8644
Se 3.1089 1.7949 1.8259
Se 3.1089 1.7949 5.8644
```
*/

Apparently some in the media are intent that the GABM should not be allowed to proceed.

Some people are very powerful. It would appear that free speech in a 'tolerant' society is not tolerated.

The level of hostility against us even included verbal abuse and threats to publish our personal details. This culminated in one media outlet doing so and placing a family at risk.

The GABM organisers reiterate that the response from the general public was overwhelmingly supportive. Aussie's from all backgrounds including many migrants from many different countries expressed support for the views expressed in our website. Migrants stated that they had left countries because of extremism and did not want to see it get a foothold in Australia. They feared to expressed their views alone and welcomed the chance to unite to do so.

Even the one Muslim that disagreed with the march, stated that he was against Halali's statements. He did so politely and respectfully and was answered in a like fashion from the organisers. We only wish the media had acted accordingly.

Immediately after one 'shock jock' misrepresented and defamed us, his news desk followed with a statement that we were marching against the hijab. Some Muslim people were confused by this and distressed by this misinformation and we received about 4 phone calls. One of these was very emotionally volatile. We had to then inform them that this not our intent but the damage had already been done.

What was to have been a peaceful, moderate, legal, non-violent, council and police approved protest has now been gagged by threats and extreme intimidatory tactics.

A big thank you to the members of the Victoria Police and Council staff who were respectful and professional and responded well to our offers to fully co-operated with them.

GABM organisers have been informed that we have now be credited in the media with a supposed march at Lakemba this weekend (9 December 2006). In spite of numerous conversations with Sydney print media last week that we had nothing to do with any event in Sydney, it appears that they went ahead and published it anyway.

What do our supporters do now?

We are as disappointed as you are at having to make the decision to cancel the march but when families lives are placed at risk, there is no alternative.

We would encourage you to keep your protests legal, non-violent and avail yourself of all democratic avenues.

Make this an election issue.
Contact your local members of parliament. Contact Telstra for State Liberal or Labor Party Headquarters phone number. Ask them for your local representative in Federal Parliament.

Hold rogue media accountable for their actions through letters to the newspapers.
Keep caring about what happens to your country.

Attention Media

The GABM is now officially closed.

There will be no more correspondence entered into. You may take any information from this website. Please be professional and objective. Don't attach your personal agendas or continue to source your facts from internet gossip.

Be truth seekers, not self-seekers!


What the march is about.

Following recent comments by Sydney Muslim cleric Sheikh Hilali, outraged Australians will take to the streets on Sat Dec 9 in a march on The Islamic Information and Support Centre. The IISC is the headquarters of Sheikh Mohummad Omran.
Sheikh Omran has supported Sheikh Hilali's sexist and anti-Australian comments, and has complained that the sentences imposed on the Sydney Muslim gang rapists, were racist.

Sheikh Hilali's "uncovered meat" comments have been widely reported and condemned by Australians of the highest profile, including our own Prime Minister.

However his less-known statements are far more disturbing

Post: #2
Title: Re: الغاء مسيرة لنساء عاريات باستراليا ( The great Australian bikini march)
Author: ابراهيم برسي
Date: 01-26-2007, 11:19 AM
Parent: #1

[U]Sheikh Hilali's statements you may not have heard.

1: "But when it comes to adultery its 90% the woman's responsibility. It is she who takes off her clothes, shortens them, flirts, puts on make up and powder and takes to the streets. God protect us, dallying!. It is she who shortens, raises and lowers. Then its a look, then a smile, a greeting, then a conversation, then a date, then a crime, then Long Bay Jail." (LAUGHS)

2: "But when it comes to this disaster, who started it? In his literature scholar al-Rafihi says: "If I come across a rape crime - kidnap and violation of honour - I would discipline the man, and order that the woman be arrested and jailed for life.""

3: "She was the reason behind this sin taking place."

Official translation of Sheikh Taj Din al-Hilali's speech courtesy of SBS translator Dalia Matar.

Sheikh Hilali, and Keysar Trad (Hilali's spin doctor) obviously believe that the Australian people are so dim-witted, that they will fall for such a weak excuse as being "misunderstood" or "taken out of context". How could anyone misunderstand the above statements?

The Triangle of Extremism

Keysar Trad - a former translator for the pro bin Laden group The Islamic Youth Movement, wrote in Nida'ul Islam that Australians are "The dregs of white criminal society"

Mufti Sheikh Taj Din al-Hilali - referred to the 9/11 attacks as "God's work against the oppressors"

Inserted here: calculated crystals
-- begin --
The following is a simulated PXRD pattern of PmCuSb2. It was derived from a DFT-relaxed cell (GGA-PBE, OQMD), using Cu Ka.
Intensities are scaled so that the largest is 100.

Atomic structure:
abc: 4.359 4.359 10.015
angles: 90.00 90.00 90.00
Atoms (fractional coordinates):
Pm 0.250 0.250 0.250
Pm 0.750 0.750 0.750
Cu 0.250 0.750 0.000
Cu 0.750 0.250 0.000
Sb 0.250 0.250 0.845
Sb 0.250 0.750 0.500
Sb 0.750 0.250 0.500
Sb 0.750 0.750 0.155

Largest 6 diffraction maxima, by angle, 2θ from 5° to 70°:
- 2θ = 27.12°, I = 16, (1 0 2)
- 2θ = 33.82°, I = 21, (1 0 3)
- 2θ = 34.16°, I = 100, (1 1 2)
- 2θ = 41.43°, I = 42, (2 0 0)
- 2θ = 50.12°, I = 16, (1 0 5)
- 2θ = 67.00°, I = 15, (2 1 5)

* * * * *

Theoretical X-ray diffraction stick pattern
Compound: Sm2Th2GeIr4
Radiation: copper Kα
Structure: the PBE geometry in Alexandria
Neutral-atom scattering factors, no anomalous dispersion.

Top 10 peaks for 10° ≤ 2θ ≤ 80°, low angle first:
| index | 2θ/deg | I_rel |
| --- | --- | --- |
| 1 0 3 | 31.27 | 12 |
| 2 0 2 | 33.21 | 100 |
| 0 0 4 | 37.71 | 14 |
| 2 2 0 | 38.94 | 47 |
| 2 1 3 | 41.96 | 20 |
| 3 0 3 | 50.76 | 9 |
| 2 2 4 | 55.32 | 18 |
| 4 0 0 | 56.25 | 16 |
| 4 2 2 | 66.91 | 25 |
| 4 0 4 | 69.72 | 9 |

Crystal structure
```
data_Sm2Th2GeIr4
_chemical_formula_sum 'Sm4 Th4 Ge2 Ir8'
_space_group_name_H-M_alt 'I 4/m m m'
_space_group_IT_number 139
_space_group_name_Hall '-I 4 2'
_cell_length_a 6.541
_cell_length_b 6.541
_cell_length_c 9.543
_cell_angle_alpha 90.00
_cell_angle_beta 90.00
_cell_angle_gamma 90.00
loop_
_atom_site_label
_atom_site_type_symbol
_atom_site_fract_x
_atom_site_fract_y
_atom_site_fract_z
Sm1 Sm 0.000 0.500 0.250
Th1 Th 0.000 0.000 0.189
Ge1 Ge 0.000 0.000 0.500
Ir1 Ir 0.235 0.235 0.000
```

Theoretical X-ray diffraction stick pattern
Compound: Cs4HoPa3S12
Radiation: copper Kα
Structure: the PBE geometry in Alexandria
Neutral-atom scattering factors, no anomalous dispersion.

Top 10 peaks for 10° ≤ 2θ ≤ 80°, low angle first:
| index | 2θ/deg | I_rel |
| --- | --- | --- |
| 2 0 0 | 16.64 | 16 |
| 2 2 0 | 23.62 | 100 |
| 4 0 0 | 33.65 | 42 |
| 4 2 0 | 37.76 | 8 |
| 4 2 2 | 41.53 | 47 |
| 4 4 0 | 48.33 | 30 |
| 6 2 0 | 54.47 | 22 |
| 4 4 4 | 60.18 | 10 |
| 6 4 2 | 65.58 | 25 |
| 6 6 0 | 75.76 | 12 |

Crystal structure
```
data_Cs4HoPa3S12
_chemical_formula_sum 'Cs8 Ho2 Pa6 S24'
_space_group_name_H-M_alt 'I m -3 m'
_space_group_IT_number 229
_space_group_name_Hall '-I 4 2 3'
_cell_length_a 10.653
_cell_length_b 10.653
_cell_length_c 10.653
_cell_angle_alpha 90.00
_cell_angle_beta 90.00
_cell_angle_gamma 90.00
loop_
_atom_site_label
_atom_site_type_symbol
_atom_site_fract_x
_atom_site_fract_y
_atom_site_fract_z
Cs1 Cs 0.250 0.250 0.250
Ho1 Ho 0.000 0.000 0.000
Pa1 Pa 0.000 0.000 0.500
S1 S 0.000 0.000 0.257
S2 S 0.000 0.250 0.500
```

Theoretical X-ray diffraction stick pattern
Compound: Ag4IBr7
Radiation: copper Kα
Structure: the PBE geometry in Alexandria
Neutral-atom scattering factors, no anomalous dispersion.
-- stop --

Sheikh Mohummad Omran - has been widely condemned for referring to Osama bin Laden as a "good man"

Post: #4
Title: Re: الغاء مسيرة لنساء عاريات باستراليا ( The great Australian bikini march)
Author: محمد البشرى الخضر
Date: 01-26-2007, 12:45 PM
Parent: #2

Quote: الغاء مسيرة لنساء عاريات باستراليا


Post: #5
Title: Re: الغاء مسيرة لنساء عاريات باستراليا ( The great Australian bikini march)
Author: ابراهيم برسي
Date: 01-26-2007, 11:54 PM
Parent: #4

Quote: خسارة

الاخ محمحد هي فعلا خسارة لان مسيرة ذي دي
كان بتكون ادبة لكل جاهل قبل ان يعتلي
منبر ويصرح تصريحات تسئ للاسلام والمسلمين ( كديسة ولحم مكشوف) وكلام فارغ
الناس في شنو وناس الهلالي في شنو
تشكر علي المداخلة

Post: #3
Title: Re: الغاء مسيرة لنساء عاريات باستراليا ( The great Australian bikini march)
Author: ابراهيم برسي
Date: 01-26-2007, 12:45 PM
Parent: #1

Why the march is important

The beliefs of our nation are based on freedom, democracy, and rule of law. Not rule of religion.
Many brave Australian men and women died in WWII to ensure that we maintained our way of life.
To do nothing would dishonour their memory, and make their sacrifice meaningless.

Lest we forget.

We must now stand together on this issue, regardless of what other differences we may have,
to ensure Australia's wives, mothers, daughters, and sisters can feel safe in their own country.

We refuse to be intimidated by such hateful dark ages thinking, as preached by Hilali and those like him.

Post: #6
Title: Re: الغاء مسيرة لنساء عاريات باستراليا ( The great Australian bikini march)
Author: رأفت ميلاد
Date: 01-27-2007, 00:27 AM
Parent: #3

Quote: We must now stand together on this issue, regardless of what other differences we may have,
to ensure Australia's wives, mothers, daughters, and sisters can feel safe in their own country.

We refuse to be intimidated by such hateful dark ages thinking, as preached by Hilali and those like him

كلام حلو يابرسى

لكن عريانات ياخى ???

ما لقوا طريقة تانية يعنى ??

ما واقعه لى


Post: #7
Title: Re: الغاء مسيرة لنساء عاريات باستراليا ( The great Australian bikini march)
Author: ابراهيم برسي
Date: 01-27-2007, 12:30 PM
Parent: #6

واللة يا استاذ رافت انا شايف معاهم حق بعد السمعتو دة
واليك نص الخبر الذي اوردة موقع يارا نايل نقلا عن الصحف
الصادرة في استراليا
سيشهد يوم 26 يناير القادم مسيرة بالبكيني يعتزم حشد من النساء الخروج فيها في سيدني احتجاجا على تعليقات الشيخ تاج الدين الهلالي بشأن ما عرف بتصريحات «اللحم المكشوف». هذا وقد استعدت الشرطة الاسترالية تخوفا من قيام شغب او مسيرة مضادة من منقبات سيدني.http://www.yarranile.com/anews8.htm[/B]

Post: #8
Title: Re: الغاء مسيرة لنساء عاريات باستراليا ( The great Australian bikini march)
Author: ابراهيم برسي
Date: 01-27-2007, 12:57 PM
Parent: #1

دعا رجل الدين المسلم الأسترالي الذي يتعرض لانتقادات لتصريحاته من بينها تشبيهه النساء باللحم المكشوف، إلى "محكمة أخلاقية" للنظر في دعواه.

فقد قال الشيخ تاج الدين الهلالي إنه قضت تلك المحكمة بأنه كان يحرض على العنف ضد النساء.

كما قال إنه سيرتدي شريطا يلثم به فمه لمدة ستة أشهر وسيمضي وقتا يعمل في خدمة المنظمات النسائية.

غير أن مراسل بي بي سي في أستراليا يقول إنه من غير المرجح أن تقام تلك المحكمة.

وكان الشيخ الهلالي، الذي يخطب في مسجد لاكيمبا الرئيسي بسيدني، قد أغمى عليه فيما قد يكون نتيجة أزمة قلبية أثناء حضوره اجتماع طارئ لتحديد مستقبله.

وبعد ذلك بأربعة أيام عاد إلى المسجد وكرر اعتذاره للتصريحات التي سبقت صلاة الجمعة.

هي التي خلعت وقصرت وتمايعت و"تمكيجت" وتبدورت نضارتها، وطلعت في الشوارع والعياذ بالله "تتمرقع"

من خطبة الشيخ الهلالي

نص مقتبسات من الخطبة المثيرة للجدل
وقال في بيان له "أي شخص يبرر جريمة الاغتصاب أو يشجع عليها تحت أي ظرف من الظروف، أو من يحقر من قدر النساء الأستراليات للباسهن، ليس إلا جاهل وأحمق ومجنون ولا يستحق أن يضطلع بأي موقع مسؤولية".

وكان الشيخ الهلالي قد قال في وقت سابق إن تلميحه أن النساء اللاتي لا ترتدين الحجاب يجلبن على أنفسهن الاعتداء الجنسي أخذ خارج سياقه و"أسيء تفسيره".

كما نسبت إلى المفتي تصريحات أخرى وصف فيها الملحدين والمسيحيين واليهود بأنهم "شر خلق الله".

"غير قابل للتحقيق"
وقال الشيخ المصري المولد إن وسائل الإعلام الأسترالية وقطاعات من المسلمين داخل البلاد، والذين يقدر عددهم بـ280 ألفا بين إجمالي 20 مليونا من السكان، دبروا مؤامرة ضده.

ودعا الهلالي إلى إنشاء تلك المحكمة في ظل اللجنة الأسترالية لحقوق الإنسان وتكافؤ الفرص.

غير أن نِك برايانت مراسل بي بي سي في سيدني وصف اقتراح الشيخ بأنه يكاد يكون غير قابل للتحقيق مطلقا.

وقد أدانت حكومة رئيس الوزراء جون هاورد إدانة مشددة التصريحات الأصلية للهلالي، والتي أثارت الجدل، حيث قالت إن معناها جلي ومسيء أشد الإساءة - وهو الرأي الذي وافقته العديد من المنظمات الإسلامية الرئيسية في البلاد.

تكميم الفم
وقد اعتذر المفتي علنا منذ نشر تعليقاته الأسبوع الماضي. كما طلب إعفاءه لأجل غير مسمى من مهامه الدينية بعد إصابته بآلام في صدره.

أي شخص .. يحقر من قدر النساء الأستراليات للباسهن، ليس إلا جاهل وأحمق ومجنون

الشيخ تاج الدين الهلالي

شاركي برأيِك في الجدل الدائر
وفي أحدث مقترحاته، عرض الشيخ الهلالي الاستقالة من كافة المهام الدينية إذا أدانته المحكمة بالتحريض على العنف ضد النساء.

### Data records, kept here for reference
┌──
# 1
Starting from a crystal structure in Alexandria, relaxed with PBE, the X-ray powder pattern of Ba3Os2O8 was simulated for Cu Ka.

Main lines, in order of rising 2θ (15 to 90 degrees two-theta):
- 24.1°, I = 20, (1 0 4)
- 27.5°, I = 36, (0 1 5)
- 28.6°, I = 100, (1 1 0)
- 40.0°, I = 36, (0 0 9)
- 49.9°, I = 55, (1 1 9)
- 50.6°, I = 21, (3 0 0)
- 66.4°, I = 23, (3 0 9)
- 73.8°, I = 19, (2 2 9)

Structural model:
Cell: 6.2462 6.2462 20.2866 Å, 90.00 90.00 120.00°
Space group R-3m (No. 166, hexagonal axes)
Asymmetric unit:
Ba: 0.0000 0.0000 0.0000 (multiplicity 3)
Ba: 0.0000 0.0000 0.2171 (multiplicity 6)
Os: 0.0000 0.0000 0.4398 (multiplicity 6)
O: 0.0000 0.0000 0.3399 (multiplicity 6)
O: 0.0080 0.5040 0.7722 (multiplicity 18)

=====

# 2
Starting from a crystal structure in Alexandria, relaxed with PBE, the X-ray powder pattern of CaDyHf was simulated for Cu Ka.

Main lines, in order of rising 2θ (15 to 90 degrees two-theta):
- 30.1°, I = 98, (0 1 2)
- 32.9°, I = 53, (0 1 8)
- 34.5°, I = 70, (1 0 10)
- 35.3°, I = 100, (0 1 11)
- 35.6°, I = 36, (0 0 21)
- 37.3°, I = 88, (1 0 13)
- 53.1°, I = 52, (1 1 0)
- 65.5°, I = 37, (1 1 21)

Structural model:
Cell: 3.4514 3.4514 52.9746 Å, 90.00 90.00 120.00°
Space group R-3m (No. 166, hexagonal axes)
Asymmetric unit:
Ca: 0.0000 0.0000 0.1970 (multiplicity 6)
Dy: 0.0000 0.0000 0.2622 (multiplicity 6)
Hf: 0.0000 0.0000 0.3560 (multiplicity 6)

=====

# 3
Starting from a crystal structure in Alexandria, relaxed with PBE, the X-ray powder pattern of Sm3Dy3In2 was simulated for Cu Ka.

Main lines, in order of rising 2θ (15 to 90 degrees two-theta):
- 31.7°, I = 100, (1 1 2)
- 36.6°, I = 17, (0 0 4)
- 36.8°, I = 17, (0 2 0)
- 36.9°, I = 17, (2 0 0)
- 52.9°, I = 24, (2 0 4)
- 62.9°, I = 14, (1 1 6)
- 63.1°, I = 14, (1 3 2)
- 63.2°, I = 14, (3 1 2)

Structural model:
Cell: 4.873 4.887 9.817 Å, 90.00 90.00 90.00°
Space group Pmmm (No. 47)
Asymmetric unit:
Sm: 0.000 0.000 0.000 (multiplicity 1)
Sm: 0.000 0.000 0.500 (multiplicity 1)
Sm: 0.500 0.500 0.000 (multiplicity 1)
Dy: 0.500 0.000 0.251 (multiplicity 2)
Dy: 0.500 0.500 0.500 (multiplicity 1)
In: 0.000 0.500 0.252 (multiplicity 2)
└──

كما تطوع بإمضاء 600 ساعة للعمل من أجل المنظمات التي تدعم النساء.

وقال إن عرضه تكميم فمه بشريط لمدة ستة أشهر في الأماكن العامة سيكون جهدا عاما "لتأديب فمه على التفوه بتلك الكلمات".

وقال الشيخ إنه إذا برأته تلك المحكمة فإنه سيتخذ قرارا حول مستقبله بما يشجع التعايش السلمي بين أطياف المجتمع في أستراليا

Post: #9
Title: Re: الغاء مسيرة لنساء عاريات باستراليا ( The great Australian bikini march)
Author: ابراهيم برسي
Date: 01-27-2007, 11:56 PM
Parent: #1

What we hope to achieve

The march will be a message from the Australian people to the government and to those in the Muslim
community who share Hilali's views. That message is:

We back Federal Sex Discrimination Comissioner Pru Goward in her call for Hilali to be deported.
Further more, we want Keysar Trad and Sheikh Omran deported with him.
We call for urgent citizenship legislation that will weed out extremists.

Mufti Sheikh Hilali, Sheikh Omran, and Keysar Trad are poor leaders for Australia's Muslims.
These men are stirring up hatred and division in Australia, and making it harder for Muslims to
integrate into Australian society.

They openly slander, and denegrate Australian values and our way of life, while supporting jihadist extremism.

It is a privilege to be a citizen of this country, not a right.

Post: #10
Title: Re: الغاء مسيرة لنساء عاريات باستراليا ( The great Australian bikini march)
Author: ابراهيم برسي
Date: 01-28-2007, 11:29 AM
Parent: #1

اتجدي هذة التلويحات يا رجل